Want to catch up a little on our movie-going outings on the site as it seems there will actually be quite a bit to see this summer, and that’s very exciting. We’ve thus far made it to Godzilla (thumbs up!) and the two movies below. I think the buzz is good on Edge of Tomorrow although the marketing is getting a touch overbearing, but likely we’ll catch it this weekend. One of the movies I’m leaning towards missing is Maleficent – that’s one I think I will just watch someday at home. Anyway – up first is what is probably the best movie we’ve seen so far this summer!
+++
1.
Here is crystalline CdAu2Se at its relaxed geometry from the Alexandria database. Energies are from GGA-PBE.

Geometry as POSCAR:
```
CdAu2Se
1.0
2.958 0.000 0.000
0.000 4.136 0.000
0.000 0.000 6.713
Cd Au Se
1 2 1
Direct
0.000 0.000 0.000 Cd
0.500 0.500 0.219 Au
0.500 0.500 0.781 Au
0.500 0.000 0.500 Se
```

Results
Polymorph energy (0 for the lowest one): 14 meV/atom
Energy: -2.760 eV per atom
Formation energy from raw total energies: -0.02 eV/atom
Fermi-level density of states: 0.58 states/eV/f.u.
Calculated density: 11.83 g/cm3
Spin magnetization: 0.00 μB/atom



2.
Here is crystalline Nd9Er4Hg11 at its relaxed geometry from the Alexandria database. Energies are from GGA-PBE.

Geometry as POSCAR:
```
Nd9Er4Hg11
1.0
7.939 -11.712 0.000
7.939 11.712 0.000
0.000 0.000 3.570
Nd Er Hg
9 4 11
Direct
0.000 0.000 0.000 Nd
0.133 0.643 0.000 Nd
0.292 0.454 0.000 Nd
0.357 0.867 0.000 Nd
0.454 0.292 0.000 Nd
0.546 0.708 0.000 Nd
0.643 0.133 0.000 Nd
0.708 0.546 0.000 Nd
0.867 0.357 0.000 Nd
0.054 0.247 0.000 Er
0.247 0.054 0.000 Er
0.753 0.946 0.000 Er
0.946 0.753 0.000 Er
0.084 0.438 0.500 Hg
0.138 0.862 0.500 Hg
0.223 0.223 0.500 Hg
0.337 0.663 0.500 Hg
0.438 0.084 0.500 Hg
0.500 0.500 0.500 Hg
0.562 0.916 0.500 Hg
0.663 0.337 0.500 Hg
0.777 0.777 0.500 Hg
0.862 0.138 0.500 Hg
0.916 0.562 0.500 Hg
```

Results
Energy: -3.069 eV per atom
Fermi-level density of states: 22.79 states/eV/f.u.
Calculated density: 10.44 g/cm3
E_form: -383 meV per atom
Spin magnetization: 0.14 μB/atom



3.
Here is crystalline Li2Tl6Pb at its relaxed geometry from the Alexandria database. Energies are from GGA-PBE.

Geometry as POSCAR:
```
Li2Tl6Pb
1.0
6.178 -1.727 0.000
6.178 1.727 0.000
-3.670 0.000 11.432
Li Tl Pb
2 6 1
Direct
0.144 0.144 0.201 Li
0.856 0.856 0.799 Li
0.177 0.177 0.875 Tl
0.189 0.189 0.594 Tl
0.474 0.474 0.652 Tl
0.526 0.526 0.348 Tl
0.811 0.811 0.406 Tl
0.823 0.823 0.125 Tl
0.500 0.500 0.000 Pb
```

Results
Polymorph energy (0 for the lowest one): 0 meV/atom
Energy: -2.494 eV per atom
Fermi-level density of states: 3.48 states/eV/f.u.
Calculated density: 9.85 g/cm3
E_form: -79 meV per atom
Spin magnetization: 0.00 μB/atom



4.
Here is crystalline HoTmZnRe at its relaxed geometry from the Alexandria database. Energies are from GGA-PBE.

Geometry as POSCAR:
```
HoTmZnRe
1.0
0.000 3.451 3.451
3.451 0.000 3.451
3.451 3.451 0.000
Ho Tm Zn Re
1 1 1 1
Direct
0.000 0.000 0.000 Ho
0.500 0.500 0.500 Tm
0.750 0.750 0.750 Zn
0.250 0.250 0.250 Re
```

Results
Energy: -5.753 eV per atom
Fermi-level density of states: 2.46 states/eV/f.u.
Calculated density: 11.83 g/cm3
E_form: -61 meV per atom
Spin magnetization: 0.00 μB/atom



5.
Here is crystalline LiPa4Ga12 at its relaxed geometry from the Alexandria database. Energies are from GGA-PBE.

Geometry as POSCAR:
```
LiPa4Ga12
1.0
-4.335 4.335 4.335
4.335 -4.335 4.335
4.335 4.335 -4.335
Li Pa Ga
1 4 12
Direct
0.000 0.000 0.000 Li
0.000 0.000 0.500 Pa
0.000 0.500 0.000 Pa
0.500 0.000 0.000 Pa
0.500 0.500 0.500 Pa
+++
X-Men: Days of Future Past (2014). Saw it on May 24, 2014 at the Vista Theater.
## Here the entry breaks off for calculated crystals
'''
1.
LiNpPbO6: relaxed, PBE.

Cell: 5.567 5.567 9.480 Å, 90.00 90.00 120.00°
Fractional coordinates of all 18 atoms:
O (0.638, 0.976, 0.868)
O (0.638, 0.662, 0.632)
O (0.338, 0.362, 0.868)
O (0.338, 0.976, 0.632)
O (0.662, 0.638, 0.132)
O (0.976, 0.638, 0.368)
O (0.662, 0.024, 0.368)
O (0.362, 0.024, 0.132)
O (0.024, 0.662, 0.868)
O (0.024, 0.362, 0.632)
O (0.362, 0.338, 0.368)
O (0.976, 0.338, 0.132)
Np (0.333, 0.667, 0.750)
Np (0.667, 0.333, 0.250)
Li (0.000, 0.000, 0.500)
Li (0.000, 0.000, 0.000)
Pb (0.333, 0.667, 0.250)
Pb (0.667, 0.333, 0.750)

## Properties
- V: 14.1 A^3/atom
- Electronic total energy: -7.071 eV/atom
- Mass density: 7.142 g/cm3
- Space-group type: P-31c
- Total magnetic moment: 0.00 μB/cell


2.
AgHgO3: relaxed, PBE.

Cell: 4.152 4.152 4.152 Å, 90.00 90.00 90.00°
Each line ends with the local moment (μB).
Fractional coordinates of all 5 atoms:
Ag (0.500, 0.500, 0.500)  -0.13
Hg (0.000, 0.000, 0.000)  -0.02
O (0.000, 0.000, 0.500)  -0.13
O (0.000, 0.500, 0.000)  -0.32
O (0.500, 0.000, 0.000)  -0.34

## Properties
- V: 14.3 A^3/atom
- Electronic total energy: -2.956 eV/atom
- Mass density: 8.270 g/cm3
- Space-group type: Pm-3m
- D(E_F): 7.0 states/eV/f.u.
- Total magnetic moment: 1.07 μB/cell


3.
CaBPd3: relaxed, PBE.

Cell: 5.281 5.281 7.565 Å, 69.57 69.57 90.00°
Fractional coordinates of all 10 atoms:
Pd (0.688, 0.688, 0.624)
Pd (0.127, 0.879, 0.746)
Pd (0.312, 0.312, 0.376)
Pd (0.121, 0.873, 0.254)
Pd (0.626, 0.873, 0.254)
Pd (0.127, 0.374, 0.746)
B (0.250, 0.750, 0.500)
B (0.000, 0.000, 0.000)
Ca (0.586, 0.086, 0.828)
Ca (0.914, 0.414, 0.172)

## Properties
- V: 18.3 A^3/atom
- Electronic total energy: -5.111 eV/atom
- Mass density: 6.701 g/cm3
- Space-group type: I-4m2
- D(E_F): 1.5 states/eV/f.u.
- Total magnetic moment: 0.00 μB/cell


4.
NbMoAs2: relaxed, PBE.

Cell: 3.158 3.158 8.010 Å, 78.63 78.63 60.00°
Fractional coordinates of all 4 atoms:
As (0.753, 0.753, 0.740)
As (0.247, 0.247, 0.260)
Mo (0.500, 0.500, 0.500)
Nb (0.000, 0.000, 0.000)

## Properties
- Offset from the most stable computed form: 176 meV per atom
- V: 16.8 A^3/atom
- Electronic total energy: -7.576 eV/atom
- Mass density: 8.348 g/cm3
- Space-group type: R-3m
- D(E_F): 3.8 states/eV/f.u.
- Total magnetic moment: 0.00 μB/cell

----------

Entry 1:
VASP calculation (meta-GGA SCAN) on a crystal of Li4ZnPb relaxed with PBEsol.

Results
- D(E_F) (states/eV/atom) = 0.35
- spin magnetization (μB per cell) = 0.241
- energy relative to the elements (eV per atom) = -0.088
- space-group type = F-43m (216)

Cell lengths 5.292, 5.292, 5.292 Å; angles 60.00, 60.00, 60.00 degrees
Sites, in units of the cell vectors:
Li 0.125 0.125 0.125
Li 0.125 0.125 0.625
Li 0.125 0.625 0.125
Li 0.625 0.125 0.125
Zn 0.750 0.750 0.750
Pb 0.500 0.500 0.500



Entry 2:
VASP calculation (meta-GGA SCAN) on a crystal of LiZn2Pb relaxed with PBEsol.

Results
- D(E_F) (states/eV/atom) = 0.26
- spin magnetization (μB per cell) = 0.000
'''
The concept for this movie was really ambitious and had all the potential to be terribly executed….yet the moviemakers totally stuck the landing and created a fantastic comic-book movie, based on what is by all accounts (though not mine as I am not a comic-book guy) one of the better comic-book storylines around, Days of Future Past. The story managed to not only tie together the two X-Men casts (both from the original X-Men movie series from the 2000s and then from the 1960s-set reboot) but do it in a way that actually worked and made sense, within the world. It was great to see the old cast again though, especially with material that was well-written and -directed, unlike the disappointing X-Men 3.
The story took things in exciting directions too; the existing timeline ended with the X-Men getting hunted to extinction by the Sentinels, developed by Tyrion Lannister, and the world entered a police-like oppressive state. Wolverine was sent back to stop the catalyst from happening, and of course, he does, but it only causes more and more problems which have to be solved. But the interesting thing is that through preventing the earlier future, a whole new present was generated, and some old and previously thought-gone X-Men were back, while some other developments remain in limbo. Did Wolverine still get his adamantium? What has happened to the “villainous” X-Men in the meantime? What did Mystique do? And then of course, what the hell was that Pyramid-building super-person doing and who was it? A lot to look forward to and with this effectively rebooting everything, a chance to tell new stories. Very very good!
A Million Ways to Die in the West (2014). Saw it on June 1, 2014 at the Pacific Theaters at Americana on Brand.
You may have seen the reviews and the relatively poor box-office for this movie in its opening weekend, especially as it was competing against Maleficent and the previous week’s X-Men. Having read reviews for both this and Maleficent, which were both pretty mixed to negative, it came down to which one we’d more likely enjoy. Since we both laugh at Family Guy and it was Larry’s birthday weekend, we went to see Seth MacFarlane’s movie. You know what? We both laughed a lot at it. Is Seth MacFarlane a good actor? Not really, and it did seem he was playing himself but in a Western, but that kind of seemed the point. It clearly wasn’t meant to be a “real” Western so that didn’t bother me. Actually, nothing really bothered me about this movie. Was it particularly original? Nah. Was it as good as Ted? No. Did we laugh though? Yep. So I don’t regret choosing this over Maleficent. There are funny moments throughout, funny performances from the supporting cast as well as surprising cameos, and Charlize Theron making fun of Amanda Seyfried’s big eyes. To her face. I’d probably recommend it as a rental or cable watch though – there’s no real reason to see it in the theater.
My Summer Movie Rankings, Thus Far! (as of June 3, 2014)
- X-Men: Days of Future Past
- Godzilla
- A Million Ways to Die in the West